With the rise of AI chat technology, there immediately became an urgent concern about the legitimacy of schoolwork. Suddenly, students could write entire essays in seconds, with little thought, just by asking a computer. With this issue came a need for a solution. AI checkers were created for academic integrity, for example, the site Turnitin. This, however, gave way to a new problem: false-positive results on AI checks in student work.
Camas High School (CHS) teacher Adam Webber, who teaches various computer and technology-related subjects, clarified what an AI checker is. He said it is an AI made to predict when another AI is being used.

The AI locates patterns in a large sample of other work known to be AI-generated and finds any similarities in additional work. If the writing examined is similar enough to what the AI has seen before, it gets flagged as computer-generated.
Beyond that, Webber mentioned how, as a teacher, he does not find much use in such checkers. He said that while he thinks it is fair to use as a teacher, he would not base punishment solely on what an AI checker reported because of their relatively large potential to make mistakes.
**Here the page breaks off for molecular data:**
=====
Run 1
{"formula": "CH4F3N2O4PS", "method": "the ωB97M-V functional and the def2-TZVPD basis", "species": ["C", "N", "N", "O", "O", "O", "O", "F", "F", "F", "P", "S", "H", "H", "H", "H"], "xyz": [[1.57, 0.79, 0.40], [0.98, -1.68, 0.53], [-1.59, -1.33, 1.80], [3.23, -1.54, -0.50], [1.30, -0.49, -1.72], [-2.10, 1.59, -1.08], [-1.24, -0.81, -0.63], [2.33, 1.78, 0.03], [1.60, 0.69, 1.74], [0.21, 1.08, 0.20], [-0.56, -1.31, 0.66], [1.95, -0.87, -0.51], [-1.18, -1.53, 2.67], [-1.74, 1.81, -1.95], [-3.03, 1.79, -0.97], [-1.71, 0.04, -0.68]], "mulliken_charge": [0.53, -0.43, -0.60, -0.56, -0.52, -0.60, -0.42, -0.20, -0.21, -0.20, 0.88, 1.01, 0.27, 0.31, 0.29, 0.46], "homo_lumo_gap_ev": 10.84, "homo_ev": -10.84, "spin_multiplicity": 1}

***

Run 2
{"formula": "CH4F3N2O4PS", "method": "the ωB97M-V functional and the def2-TZVPD basis", "species": ["C", "N", "N", "O", "O", "O", "O", "F", "F", "F", "P", "S", "H", "H", "H", "H"], "xyz": [[-0.93, -1.82, -4.41], [1.03, -0.09, -1.61], [-1.06, -0.37, 0.24], [-0.87, -2.63, -1.88], [-2.14, -0.57, -2.38], [1.35, 0.17, 0.94], [0.83, -2.10, 0.17], [-1.36, -3.07, -4.48], [0.28, -1.74, -4.95], [-1.76, -1.03, -5.06], [0.53, -0.58, -0.19], [-0.94, -1.35, -2.53], [-1.59, 0.26, -0.35], [-1.19, -0.18, 1.22], [2.25, 0.36, 0.65], [0.34, -2.70, -0.41]], "mulliken_charge": [0.61, -0.50, -0.42, -0.62, -0.55, -0.50, -0.46, -0.19, -0.21, -0.19, 0.97, 0.82, 0.24, 0.26, 0.32, 0.41], "homo_lumo_gap_ev": [7.54, 7.54], "homo_ev": [-10.07, -10.07], "spin_multiplicity": 1}

***

Looking at the structures above, which would you pick as the most stable? I would pick run 1.
=====
“From my experiences, it’s a lot easier for me to know my students’ ability level. If they give me something that’s way beyond their ability level, then it’s pretty obvious [it’s plagiaraized],” Webber said, “I think AI detectors are putting a temporary solution on a bigger problem.”
Students at CHS also have issues with these checkers, calling for a more solid basis to accuse someone of using AI.
“I think once someone has been accused, there should be much more in-depth research into their accusations than just blatantly following the detector,” junior Joshua May said.
To bring up a more tangible example, CHS junior Zachary Issacs had some of his writing wrongly flagged as AI-generated last year. For him, this meant a zero in the gradebook, which severely impacted his grade. It also posed a significant inconvenience, taking time and effort to talk about it with the teacher, convincing them that the work was not AI-written, and coming to a compromise.

_Between two parts of the text: calculated molecules_
........
Entry from the Open Molecules 2025 dataset: 2 unconnected molecules or ions with the total composition C9H17N4O5 (the ωB97M-V functional and the def2-TZVPD basis).

## Properties
Lowest unoccupied orbital energy (eV): 1.82
Net charge: -1
Orbital gap (eV): 5.617
Electronic energy (a.u.): -948.24161
E_HOMO (eV): -3.8

Structure (XYZ):
```
35
Properties=species:S:1:pos:R:3:forces:R:3
C 2.395 -0.749 0.569 0.1 0.2 -2.5
C 1.093 -0.279 -0.133 0.7 0.4 -0.1
C 0.914 1.244 -0.320 -0.2 -0.3 1.1
N 0.277 -1.197 -0.544 1.2 -0.7 2.9
N -1.016 -1.086 0.006 -1.4 0.7 -2.3
C -1.982 -1.326 -1.109 0.0 -0.6 -0.3
C -3.271 -2.051 -0.649 0.4 0.2 0.1
C -4.118 -1.252 0.374 -0.3 -0.5 -0.2
C -4.920 -0.075 -0.242 1.0 0.3 1.2
N -5.133 1.103 0.594 0.5 -0.4 0.2
O -5.348 -0.095 -1.344 -0.8 -0.5 -0.9
C -2.233 -0.043 -1.956 -0.3 1.2 -0.1
O -2.312 -0.160 -3.181 0.1 -1.0 -0.7
O -2.338 1.068 -1.360 0.2 -0.6 1.3
H 2.839 -1.503 -0.123 -0.1 0.2 0.7
H 3.116 0.087 0.616 -0.3 -0.5 0.4
H 2.196 -1.230 1.541 0.0 0.4 -0.4
H 0.124 1.490 -1.051 0.2 -0.2 0.5
H 0.738 1.757 0.655 0.0 -0.1 -0.6
H 1.892 1.629 -0.685 -0.5 -0.3 0.1
H -1.196 -0.144 0.382 0.0 0.0 -0.3
H -1.453 -2.030 -1.786 -0.3 0.4 0.4
H -2.949 -3.006 -0.177 -0.2 0.5 -0.2
H -3.860 -2.311 -1.554 0.2 0.3 0.6
H -3.497 -0.956 1.246 -0.3 0.1 -0.6
H -4.883 -1.957 0.783 0.3 0.5 -0.2
H -4.241 1.261 1.071 -0.3 0.1 0.0
H -5.829 0.915 1.316 0.1 -0.1 -0.2
C 6.796 2.032 0.754 0.1 0.2 0.1
N 5.958 0.950 1.339 -0.1 -0.1 0.1
O 5.779 0.968 2.542 0.0 -0.1 -0.2
O 5.513 0.127 0.567 0.2 0.1 0.2
H 7.122 2.690 1.553 -0.1 -0.1 0.0
H 7.647 1.561 0.268 -0.1 0.0 -0.1
H 6.182 2.570 0.036 0.0 -0.1 -0.1
```
Positions in Å, forces in eV/Å.

Here are the natural (NBO) charges for atoms 1 to 2, given in e: atom 1 (C): -0.662, atom 2 (C): 0.267

---

Entry from the Open Molecules 2025 dataset: a molecular structure, C9H17N5 (the ωB97M-V functional and the def2-TZVPD basis).

## Properties
Lowest unoccupied orbital energy (alpha / beta) (eV): -8.29 / -8.29
Energy relative to the best compared isomer or geometry (same formula, charge and spin) (kcal per mole): 25.5
Net charge: +2
Orbital gap (alpha / beta) (eV): 6.680 / 6.678
Electronic energy (a.u.): -626.25169
E_HOMO (alpha / beta) (eV): -15.0 / -15.0

Structure (XYZ):
```
31
Properties=species:S:1:pos:R:3:forces:R:3
C 1.939 0.682 1.256 0.1 -0.1 0.1
C 3.043 -0.107 1.305 0.2 0.4 0.0
C -0.965 1.607 0.301 1.6 0.5 0.4
C 1.347 1.079 -0.004 1.2 0.2 -0.3
C 3.777 -0.395 0.103 0.1 0.5 -0.4
C -2.326 1.280 -0.090 -1.0 -0.2 -0.2
C -3.003 -2.448 -0.215 0.0 0.0 0.1
C -2.610 -0.008 -0.731 -0.2 -0.4 0.0
C -2.907 -1.057 0.386 0.1 0.0 -0.1
N 0.016 0.951 -0.177 -2.3 -0.4 -0.3
N 4.235 -1.614 -0.165 0.0 -0.4 -0.1
N -3.287 2.094 0.245 0.7 -0.3 -0.1
N 3.774 0.581 -0.839 3.7 -2.0 1.1
N 2.072 1.331 -1.050 -3.4 2.5 -0.5
H 1.341 0.819 2.143 0.0 -0.1 0.1
H 3.319 -0.616 2.216 0.0 0.0 0.1
H -0.835 2.450 0.981 0.0 0.1 0.1
H -3.264 -3.157 0.567 0.0 -0.1 0.0
H -2.056 -2.756 -0.653 0.1 0.0 -0.1
H -3.771 -2.493 -0.983 -0.1 0.0 -0.1
........
“It kind of changed the relationship between me and the teacher because she thought that I was using AI,” Issacs said.
He is entirely against using these checkers, at least in their current state, citing their inaccuracy.
While there is no solid solution to AI-generated schoolwork, many believe that AI checkers are not tangible solutions to the issue at hand: plagiarism. Teachers now fear a drop in students’ critical thinking with the development of sites such as ChatGPT. Although AI checkers often make mistakes, they are seemingly the only solution now.